Tuesday, June 03, 2008

(Attached: data records)
+++
Entry from Alexandria: a relaxed Tb8SmY5 crystal (PBE).

Lattice parameters (Å, degrees): 8.475 8.475 8.475 111.38 105.72 111.38
Fractional coordinates of all 14 atoms:
Tb 0.530 0.605 0.275
Tb 0.670 0.395 0.926
Tb 0.074 0.744 0.470
Y 0.282 0.095 0.961
Y 0.039 0.321 0.134
Tb 0.342 0.264 0.427
Tb 0.163 0.736 0.078
Sm 0.250 0.500 0.750
Tb 0.725 0.256 0.330
Y 0.813 0.679 0.718
Tb 0.922 0.084 0.658
Tb 0.573 0.916 0.837
Y 0.500 0.000 0.500
Y 0.866 0.905 0.187

Magnetic moment ... 0.00 μB/f.u.
Formation energy from the elements ... 3.58 eV/f.u.
Raw total energy ... -5.04 eV per atom

~~~~~

Here is a geometry-optimized La8Co3OsCl4 structure from Alexandria. Energies are from GGA-PBE.

a = 8.1120 Å, b = 8.1120 Å, c = 23.0365 Å
α = 90.00°, β = 90.00°, γ = 120.00°
Space group R-3m (No. 166, hexagonal axes)
One atom of each set of equivalent atoms:
La 0.0000 0.0000 0.2318 x6
La 0.0015 0.5007 0.7656 x18
Co 0.0000 0.5000 0.5000 x9
Os 0.0000 0.0000 0.5000 x3
Cl 0.0000 0.0000 0.0000 x3
Cl 0.0000 0.5000 0.0000 x9

Calculated values
- calculated total energy (eV per atom) = -5.907
- formation energy from raw total energies (eV/atom) = -0.95


Here is a geometry-optimized RbHg3Pt structure from Alexandria. Energies are from GGA-PBE.

a = 7.218 Å, b = 7.288 Å, c = 7.654 Å
α = 62.58°, β = 61.90°, γ = 60.35°
Space group P1 (No. 1)
One atom of each set of equivalent atoms:
Rb 0.000 0.000 0.000 x1
Rb 0.108 0.356 0.429 x1
Hg 0.110 0.821 0.489 x1
Hg 0.487 0.044 0.981 x1
Hg 0.522 0.534 0.967 x1
Hg 0.580 0.821 0.489 x1
Hg 0.677 0.169 0.477 x1
Hg 0.976 0.534 0.967 x1
Pt 0.412 0.468 0.708 x1
Pt 0.559 0.622 0.259 x1

Calculated values
- calculated total energy (eV per atom) = -1.767


Here is a geometry-optimized ErZn11Co structure from Alexandria. Energies are from GGA-PBE.

a = 5.063 Å, b = 12.569 Å, c = 6.710 Å
α = 90.00°, β = 111.88°, γ = 90.00°
Space group C2/m (No. 12)
One atom of each set of equivalent atoms:
Er 0.000 0.000 0.000 x2
Zn 0.000 0.500 0.500 x2
Zn 0.117 0.394 0.219 x8
Zn 0.160 0.170 0.358 x8
Zn 0.250 0.250 0.000 x4
Co 0.000 0.000 0.500 x2

Calculated values
- calculated total energy (eV per atom) = -2.142


Here is a geometry-optimized ErTlSe4 structure from Alexandria. Energies are from GGA-PBE.

a = 6.235 Å, b = 6.235 Å, c = 8.378 Å
α = 90.00°, β = 90.00°, γ = 90.00°
Space group P4/nbm (No. 125, origin choice 2)
One atom of each set of equivalent atoms:
Er 0.250 0.250 0.000 x2
Tl 0.250 0.250 0.500 x2
Se 0.112 0.612 0.205 x8

Calculated values
- calculated total energy (eV per atom) = -4.374
- formation energy from raw total energies (eV/atom) = -0.90


Among the records above, which one has the highest calculated total energy?
RbHg3Pt
+++

DAY 222: Cooinda to Malabanjbanjdju

42 km @ 14.1 km/hr
Mon 2nd June 2008
Sunny, 28 deg C
Elevation of destination 12m
Distance to date 13641 km (8526 miles)

I’m starting to sound like a gramophome record but last night saw further loss of sleep in this crowded caravan park - lemme out! Some juvenile English girls were talking loudly and giggling way after everyone else had gone quiet last night, until someone nearby shouted to them “stfu”; and I added “hear hear!”, which did the trick. Then some young campers were banging around packing up and again talking loudly at 0530. There’s just no restraint with some people.
I had breakfast with Bob, having decided to quit here today - I don’t like the blatant overcharging and general commercialised feel to Cooinda Lodge (this is all there is in Cooinda). For example I was queueing for quite a while to pay my $15 camping fee while the guy behind the desk was trying long and hard to sell a $1200 scenic flight to some caravanners, which needled me.
Enough negative - the day started off positive thankfully with my visit to the Warradjan Aboriginal Centre, which is very interesting and gives good insight into how they lived here for thousands of years before the white man came - essentially taking from the land “...for need, not for greed”....which modern society could well learn from with our wasteful ways. Not only did they (for example) kill animals only when they were hungry, they actually ate the whole animal, throwing very little away. Theyhad respect for the environment which many of us don't. On a different tack, there was stuff about the “stolen generation” where black kids were taken from their families to be brought up fit for the ‘white’ world - an example of how the kids were treated was where a victim claimed that it was common practice for kids who did things wrong were ordered to strip completely before being beaten at the front of the class. What a mess our ancestors made of things.
Oops, that’s negative again! Well, there was also a good film about how the Aboriginals were turned off their land to make way for a uranium mine, the tailings dump of which is apparently leaking into the river system around here during the wet season. Ooops...... sorry!
I eventually got riding around 1100 into a headwind and gradual drag upwards for about 11km, but then things got easier for the last part. I decided to stay at a free NP camping area at Malabanjbanjdju (there’s nothing else there) which seemed quiet, and there was a bush walk by the billabongs too. After setting up I took a stroll there and spotted a few birds - lots of small and large Egrets, a Little Eagle or similar, and a small brown Kingfisher-like bird that isn’t in the Simpson and Day guide. The walk went close to the water and signs warned of crocodiles, which are pretty common here it seems, including the more dangerous Saltwater variety.
A few other campers are staying here too but it all seems quiet enough at the moment, lets hope it stays that way! Tomorrow I will ride into Jabiru which is less than 20km away, and I may look for a tour to try and see a bit more of Kakadu NP - unfortunately a lot of the more interesting stuff is too far off the main road for me, and only accessed on 4WD gravel roads. Then on to Darwin by next weekend probably.

DAY 221: Mary River Roadhouse to Cooinda

106 km @ 16.5 km/hr
Sun 1st June 2008
Sunny, 30 deg C
Elevation of destination 14m
Distance to date 13599 km (8499 miles)

After a decent nights sleep at last I felt much fresher this morning, but my left knee/leg is still sort of ‘lame’ and stiff - don’t know what that’s about, hopefully it’ll pass soon. My saddle sores are in remission at the mo though.
Less than 1km from the CP I was entering Kakadu NP, and the next 11km is mostly draggy uphill at grades between 2% and 8%. Traffic was very light, and the scenery interesting as I passed through a little mountain range - oddly-shaped rock formations and boulder-strewn plain, and lots of very large termite mounds. After 11km the road just undulates gently, but winds continuously.
The wind was SE again so mostly on the right side, but at various times it was behind pushing me along, then in the face slowing me down. Once more there is nothing like a shop or even a building for the whole day.
For lunch I sought out a shady spot where I could lean the bike and made coffee, and peanut butter and (blueberry) jam muffins, which were very nice with the muffins I’d bought in Katherine still being very fresh. As I was eating I watched the ubiquitous ants were carrying off any dropped crumbs back to their larder.
The landscape is Savannah, thinnishly-spaced trees but now they were taller, greener, and more varied, including palms, pandanus and other tropical-looking specimens. There has been a lot of deliberate burning, and I found the odour of burnt gums quite pleasant.
The middle part of the leg today was pretty slow, with the road bending into the wind and lots of shallow draggy climbs, but the last 25km was pretty fast downwind stuff.
A 4x4 stopped about 25km into the ride, and a man got out to speak to me, and it was Bob from Ingham - I met him in Tyto Wetlands the evening I camped there. I knew he was going to tour up here for a couple of months, and he assumed it was me ahead of him, although he wasn’t sure where I’d got to. We almost missed each other.
We had a chat for a while and parted with the expectation of meeting again tonight.
I arrived in Cooinda around 1630 and checked in at the (only, $15,) caravan park, and found Bob’s tent and pitched next to it. He was off on a wetland boat cruise. I wasn’t impressed with the very high prices in the ‘Lodge’ shop and skipped the iced coffee as a minor protest lol. I rode the 1km to Yellow Water, which is just a small boat terminal for the pleasure cruisers, but is next to a large wetland area. I spent a while with the binoculars watching mostly Egrets and Pied Cormorants, but also spotted a couple of Jabiru and Jacana (lily walkers). The pleasure boats were full, and at $70 for a 2 hour trip they must be making a fortune.
I found Bob waiting for his meal in the restaurant and had a beer, but at these prices only one, before cooking for myself and spending a nice evening chatting with my refound friend. It's such a shame these friendships are being made knowing we may never meet again - I could get on very well with Bob; my kind of guy.

DAY 220: Pine Creek to Mary River Roadhouse


61 km @ 15.1 km/hr
Sat 31st May 2008
Sunny, 30 deg C
Elevation of destination 122m
Distance to date 13493 km (8433 miles)

After the 2 noisy nights at Katherine I was looking forward to a peaceful one very much, but it wasn’t to be. It was fairly quiet for most of the evening but then at 11 a band started up in the pub just 80m away. A very loud band indeed, together with drunken shouting and cheering. I couldn’t believe it, I was almost asleep, but now sleep was impossible. How does the Lazy Lizard caravan park management think it right to take money off people to stay the night and then keep you awake taking money off others? I thought it might end at midnight; then 1; then 2, and it actually stopped at 0210 to be replaced by recorded music not quite as loud, but loud enough. Added to this, during quiter moments, a dog was howling just a few metres away in the CP. I’d had enough by now, and got dressed and marched into the bar at 0240 where some 20 people were still drinking, although the bar was shut. I asked the manager / owner, who was behind the bar, why he took money off me - $15 indeed, more than any other CP since Mt Isa - knowing this concert was going ahead. I said to him that I would have gone somewhere else had I known. He didn’t answer; just shuffled off, but a young blond woman snarled at me “it’s a f****** pub isn’t it?” - Yes dear, and right next door is a jointly-owned caravan park! Some of the gathered were sympathetic and said they were about to go home, but I walked out to intimidating sniggers and titters behind my back. Of course I was too angry to sleep then and didn’t get off for ages.
I slept from 4 to about 7 and woke to a wide variety of bird calls, many of which I didn’t recognise, and I looked out to see a male Bowerbird doing his dance again with female in attendance kind of dancing away from him, only this time I could see the bower he had made - see pic. It was a clump of coarse grass with some stones laid inside it - not very elaborate really. The contortions he was making were quite funny, sticking his neck out and strutting on tip toes for example. The feathers on the back of his neck open to reveal a shiny purple patch when he’s in this kind of mood too. That cheered me up a bit, but after packing up I was determined to get my $15 back - the owners shouldn’t get away with this, and having enquired at the shop I learnt that they were still in bed, and I went and knocked them up lol. The guy came out all grumpy looking but after stating my case and refusing to back down he went in and got me the $15. Thank you saith I.
A little earlier I had been talking to a caravanner from Brisbane, and he too was disgusted at the noise last night too. Furthermore he told me that when he and his wife arrived the day before the toilets were in such a mucky state that they found brush and mop and actually cleaned it themselves before they would use the facilities - how bad is that?
Anyway I hit the road feeling a little better, and after 2km on the Darwin highway turned right onto the Jabiru / Kakadu NP road. I had expected a headwind but it wasn’t too bad - mostly on the side and sometimes a little behind - and for the first 30km I made good progress. Traffic was very light indeed. Scenery-wise it was becoming more interesting with lots of bends and gentle undulations, huge boulders strewn around, and little red rocky mountains.
After 30km the undulations turned to hills and this lasted for the rest of the day; up / down / up / down a la Toblerone. The slopes ranged from 3% to 6% but weren’t that long. It felt hotter than recently, but this was probably due to the sun beiong in my face, giving an illusion of being hotter. The landscape got even wilder-looking and is very interesting to look at.
After 50km I was getting quite tired, and my right foot was giving me some pain, so I was glad when the roadhouse hove into view. Again, there are no other buildings en route today. The roadhouse CP is OK, a bit dusty, but only $8, and I celebrated with an iced coffee and chocolate cake as my ‘reward’. It was only 1430 and I could have carried on for a few more hours, but fatigue, plus the knowledge that there are no camping areas for another 60km and that you aren’t allowed to camp in the NP without a permit that takes a week to get, made it an easy decision to call it a day.
I finally got to have a sort-out of my gear which I’ve been wanting to do for a few days, and managed to dump a bagfull of unwanted stuff, and separate out a small parcel for sending to Lyn’s of stuff I’m not using.
After a good supper it was diary then bed at 2100; in fact many other campers were already asleep it seemed - they go to bed and get up early here!
I’m just a few km from the Kakadu NP boundary now, and tomorrow I should be at Yellow River, where there are extensive wetlands.

DAY 219: Nitmiluk (Katherine) Gorge to Pine Creek

120 km @ 20.0 km/hr
Fri 30th May 2008
Sunny, 30 deg C
Elevation of destination 209m
Distance to date 13432 km (8395 miles)

The ‘roos were grazing very close to my tent again last night, and I kept hearing the tearing sound as they ripped out the grass in my dreams, or in reality. I was awake at first light, 0640 at the moment, and decided to get up and get an early start to a longish day. Not that long in distance, but I had internet and shopping to do in Katherine that would probably take 2 hours. Before that I was luckily treated to the Bowerbird actually doing his courtship dance just a few feet away; a watching bird, which I assumed to be a female, wasn’t very interested though, and after a little while flew off after another (male?) bird, the hussy. Maybe he needs to practice more. I also took a pic of the bower itself.
It was very cold at that time, the sun not having climbed over the valley side, and I wished I hadn’t given Lyn my fleece hat to take back, I could actually do with it now. Once underway I started to warm up once moving, and especially when after 20 minutes when the sunshine hit me. Such a difference between early morning and afternoon temperatures at the moment. Thing is, it is still fairly warm when it’s sleep time, and it’s probably around 3 or 4 that it gets cold, and I then snuggle right under the sleeping bag flap, totally cocooned.
It took just over half the time to Katherine than the outward journey, today being wind-assisted. The SE wind was pretty fresh. In Katherine I tried another internet place that was a bit dearer ($8/hr) but at least twice as fast, and I was done much more quickly having replied to several e-mails. One was from the John O’Groat Journal asking for an update on the trip, which I will write up soon. I then topped up my food bag at Woolworth’s - a little nervous as usual about leaving the fully-laden bike on it’s own. At least in the internet cafe I could keep an eye on it, but in the supermarket it’s not as easy. I do push it inside the shopping mall, although a sign says no bicycles no-one has ever stopped me - maybe one day it will be taken outside and blown up...anyway despite some ‘characters’ hanging about I’ve lost nothing yet. I’m pretty sure there are CCTV cameras near where I leave it, which must help. After Woolies it was over to Subway for ‘elevenses’ which today was a 12” Tandoori on toasted wholewheat with tomato, lettuce, black olives, salt and pepper with Raita sauce please. I thought I’d save half for later but as it happened wolfed the lot down - very nice too with Paul’s (NT) iced coffee.
I filled up my 4 litre water bag in anticipation of a bush camp and hit the road again at 1230. There is twice the traffic north of Katherine compared to south, and I had to veer off a few times when vehicles were coming both ways. I decided to stop waving at caravanners and motorhomers now since I was at it every few seconds, and it was spoiling my concentration - I did wave when waved to, but often I can’t see whether folk are waving or not due to the bright sunshine. The road started flat, then started undulating almost to hilliness; finishing up gently undulating. There is nothing at all on this leg, not even a building, but I’m used to that. NT is incredibly sparse of population.
The SE-er was right behind me again, and the 90km from Katherine to Pine Creek was very easy. During the last 10km I tried and tried to find a bush camping site to no avail. I tried 4 places - 2 were too open and dusty, and in the case of the other 2, although they were well down side roads a vehicle was coming the other way both times, and I never like camping when I’ve been seen like that. Probably paranoid but there you are.
There are several caravan parks in Pine Creek so I chose the one with a bar so I could have a beer, and wasn’t pleased to hear it was $15 (Lazy Lizard) but I paid up and didn’t look pleasant at all. That’s the dearest for ages. As I was setting up some firemen were setting fires in the field next door - this happens all over NT at this time of the year, and is done to get rid of the old, dead vegetation and encourage new growth. Just now the ground is still pretty damp after the Wet and so this limits the extent of the fires. The burning trees looked quite spectacular with the setting sun right behind them.
I could smell fish cooking over in the restaurant and so the idea of pasta again was outvoted in favour of Barra and chips and salad - and it was very good. I bust my budget again this month, but hey, live a little! For the second or third time I’ve noticed indigenous men coming into a bar for alcohol, and the barperson asks them for their ID - wonder what that’s about? Must ask someone and find out. They always look so nervous and out of place in such places.